Given >
[1]
8
Lattice="8.241 -1.979 0.000 8.241 1.979 0.000 -1.084 0.000 4.101" Properties=species:S:1:pos:R:3 comment="Li4CdAu3 PBE optimized geometry" de_polymorph_mev_per_atom=55 crystal_system=monoclinic pbc="T T T"
Li 1.919 0.000 0.511
Li 3.340 0.000 3.086
Li 12.058 0.000 1.015
Li 13.478 0.000 3.590
Cd -0.542 0.000 2.051
Au 5.553 0.000 1.481
Au 8.241 0.000 0.000
Au 9.844 0.000 2.621

***

[2]
12
Lattice="5.110 -4.186 0.000 5.110 4.186 0.000 -0.349 0.000 5.523" Properties=species:S:1:pos:R:3 comment="LiCd2Au3 PBE optimized geometry" de_polymorph_mev_per_atom=114 crystal_system=monoclinic pbc="T T T"
Li 4.848 3.483 4.143
Li 5.023 -3.483 1.381
Cd 3.678 1.999 1.923
Cd 6.368 1.999 0.839
Cd 3.504 -1.999 4.684
Cd 6.193 -1.999 3.601
Au 1.981 0.329 5.475
Au 2.155 -0.329 2.713
Au 4.848 0.610 4.143
Au 5.023 -0.610 1.381
Au 7.716 0.329 2.810
Au 7.891 -0.329 0.048

***

[3]
5
Lattice="4.093 -2.338 0.000 4.093 2.338 0.000 -2.789 0.000 4.750" Properties=species:S:1:pos:R:3 comment="Li2Cd2Au PBE optimized geometry" de_polymorph_mev_per_atom=0 crystal_system=monoclinic pbc="T T T"
Li 1.362 0.000 0.423
Li 4.036 0.000 4.326
Cd 1.326 0.000 3.311
Cd 4.072 0.000 1.439
Au -1.395 0.000 2.375

***

[4]
9
Lattice="-4.470 4.470 2.133 4.470 -4.470 2.133 4.470 4.470 -2.133" Properties=species:S:1:pos:R:3 comment="LiCd4Au4 PBE optimized geometry" de_polymorph_mev_per_atom=0 crystal_system=tetragonal pbc="T T T"
Li 0.000 0.000 0.000
Cd 2.989 2.989 0.000
Cd 1.481 -1.481 2.133
Cd -1.481 1.481 2.133
Cd 1.481 1.481 2.133
Au 2.918 0.000 0.000
Au 6.023 0.000 0.000
Au 0.000 2.918 0.000
Au 0.000 6.023 0.000

***

[5]
12
Lattice="4.049 -7.034 0.000 4.049 7.034 0.000 -2.732 0.000 3.828" Properties=species:S:1:pos:R:3 comment="Li5Cd6Au PBE optimized geometry" crystal_system=monoclinic total_energy_ev_per_atom=-1.805 pbc="T T T"
Li 0.000 0.000 0.000
Li 2.682 4.673 1.914
Li 4.049 2.259 0.000
Li 4.049 -2.259 0.000
Li 2.682 -4.673 1.914
Cd 1.301 2.412 0.938
Cd -0.096 0.000 2.826
Cd 1.301 -2.412 0.938
Cd 4.064 2.412 2.890
Cd 5.461 0.000 1.002
Cd 4.064 -2.412 2.890
Au 2.682 0.000 1.914

***

[6]
11
Lattice="5.197 -4.263 0.000 5.197 4.263 0.000 -1.122 0.000 4.814" Properties=species:S:1:pos:R:3 comment="Li2Cd2Au7 PBE optimized geometry" crystal_system=monoclinic total_energy_ev_per_atom=-2.812 pbc="T T T"
Li 2.078 0.000 1.356
Li 7.194 0.000 3.458
Cd 4.636 1.705 2.407
Cd 4.636 -1.705 2.407
Au -0.299 0.000 3.768
Au 2.073 1.546 3.685
Au 2.073 -1.546 3.685
Au 5.197 0.000 0.000
Au 7.199 1.546 1.129
Au 7.199 -1.546 1.129
Au 9.571 0.000 1.047

***

| no. | V (Å³/f.u.) |
| --- | --- |
| 1 | 133.77 |
| 2 | 118.14 |
| 3 | 90.93 |
| 4 | 170.52 |
| 5 | 218.05 |
| 6 | 213.33 |

=====

PBE-GGA Mo2PBr, optimized geometry; N(E_F) = 4.51 states/eV per cell; E above lowest polymorph = 2.04 eV/f.u.; M_tot = 0.00 μB per formula unit; energy relative to the elements, uncorrected = 0.55 eV/atom; total energy = -6.63 eV/atom
1.0
-1.0450 4.4698 2.0648
-5.0270 0.0795 0.2395
3.9467 -2.5539 1.7989
Br Mo P
1 2 1
direct
0.2500 0.7500 0.5000 Br
0.9482 0.9482 0.0000 Mo
0.5518 0.5518 0.0000 Mo
0.7500 0.2500 0.5000 P

=====

No. 1
Ag2AsSe4 | Alexandria via LeMat-Bulk | GGA-PBE | optimized geometry; energy relative to the elements, uncorrected = 0.08 eV/atom; E_tot = -3.393 eV per atom
1.0
6.835 0.000 0.000
0.000 6.835 0.000
0.000 0.000 4.718
Ag As Se
2 1 4
Cartesian
0.000 3.417 0.000
3.417 0.000 0.000
0.000 0.000 0.000
1.458 1.458 1.147
1.458 5.377 3.571
5.377 1.458 3.571
5.377 5.377 1.147

No. 2
AgAsSe | Alexandria via LeMat-Bulk | GGA-PBE | optimized geometry; energy relative to the elements, uncorrected = 0.27 eV/atom; E_tot = -3.387 eV per atom
1.0
0.000 1.996 8.306
1.974 0.000 8.306
1.974 1.996 0.000
Ag As Se
1 1 1
Cartesian
0.000 0.000 0.000
1.974 1.996 10.501
1.974 1.996 5.833

=====

[1]
Entry from OQMD: a geometry-optimized ScTcBi2 structure (PBE-GGA).

```
data_ScTcBi2
_chemical_formula_sum 'Sc1 Tc1 Bi2'
_cell_length_a 5.018
_cell_length_b 5.018
_cell_length_c 5.018
_cell_angle_alpha 60.00

Exercise >
Repeat everything above word for word.

Outcome >
[1]
8
Lattice="8.241 -1.979 0.000 8.241 1.979 0.000 -1.084 0.000 4.101" Properties=species:S:1:pos:R:3 comment="Li4CdAu3 PBE optimized geometry" de_polymorph_mev_per_atom=55 crystal_system=monoclinic pbc="T T T"
Li 1.919 0.000 0.511
Li 3.340 0.000 3.086
Li 12.058 0.000 1.015
Li 13.478 0.000 3.590
Cd -0.542 0.000 2.051
Au 5.553 0.000 1.481
Au 8.241 0.000 0.000
Au 9.844 0.000 2.621

***

[2]
12
Lattice="5.110 -4.186 0.000 5.110 4.186 0.000 -0.349 0.000 5.523" Properties=species:S:1:pos:R:3 comment="LiCd2Au3 PBE optimized geometry" de_polymorph_mev_per_atom=114 crystal_system=monoclinic pbc="T T T"
Li 4.848 3.483 4.143
Li 5.023 -3.483 1.381
Cd 3.678 1.999 1.923
Cd 6.368 1.999 0.839
Cd 3.504 -1.999 4.684
Cd 6.193 -1.999 3.601
Au 1.981 0.329 5.475
Au 2.155 -0.329 2.713
Au 4.848 0.610 4.143
Au 5.023 -0.610 1.381
Au 7.716 0.329 2.810
Au 7.891 -0.329 0.048

***

[3]
5
Lattice="4.093 -2.338 0.000 4.093 2.338 0.000 -2.789 0.000 4.750" Properties=species:S:1:pos:R:3 comment="Li2Cd2Au PBE optimized geometry" de_polymorph_mev_per_atom=0 crystal_system=monoclinic pbc="T T T"
Li 1.362 0.000 0.423
Li 4.036 0.000 4.326
Cd 1.326 0.000 3.311
Cd 4.072 0.000 1.439
Au -1.395 0.000 2.375

***

[4]
9
Lattice="-4.470 4.470 2.133 4.470 -4.470 2.133 4.470 4.470 -2.133" Properties=species:S:1:pos:R:3 comment="LiCd4Au4 PBE optimized geometry" de_polymorph_mev_per_atom=0 crystal_system=tetragonal pbc="T T T"
Li 0.000 0.000 0.000
Cd 2.989 2.989 0.000
Cd 1.481 -1.481 2.133
Cd -1.481 1.481 2.133
Cd 1.481 1.481 2.133
Au 2.918 0.000 0.000
Au 6.023 0.000 0.000
Au 0.000 2.918 0.000
Au 0.000 6.023 0.000

***

[5]
12
Lattice="4.049 -7.034 0.000 4.049 7.034 0.000 -2.732 0.000 3.828" Properties=species:S:1:pos:R:3 comment="Li5Cd6Au PBE optimized geometry" crystal_system=monoclinic total_energy_ev_per_atom=-1.805 pbc="T T T"
Li 0.000 0.000 0.000
Li 2.682 4.673 1.914
Li 4.049 2.259 0.000
Li 4.049 -2.259 0.000
Li 2.682 -4.673 1.914
Cd 1.301 2.412 0.938
Cd -0.096 0.000 2.826
Cd 1.301 -2.412 0.938
Cd 4.064 2.412 2.890
Cd 5.461 0.000 1.002
Cd 4.064 -2.412 2.890
Au 2.682 0.000 1.914

***

[6]
11
Lattice="5.197 -4.263 0.000 5.197 4.263 0.000 -1.122 0.000 4.814" Properties=species:S:1:pos:R:3 comment="Li2Cd2Au7 PBE optimized geometry" crystal_system=monoclinic total_energy_ev_per_atom=-2.812 pbc="T T T"
Li 2.078 0.000 1.356
Li 7.194 0.000 3.458
Cd 4.636 1.705 2.407
Cd 4.636 -1.705 2.407
Au -0.299 0.000 3.768
Au 2.073 1.546 3.685
Au 2.073 -1.546 3.685
Au 5.197 0.000 0.000
Au 7.199 1.546 1.129
Au 7.199 -1.546 1.129
Au 9.571 0.000 1.047

***

| no. | V (Å³/f.u.) |
| --- | --- |
| 1 | 133.77 |
| 2 | 118.14 |
| 3 | 90.93 |
| 4 | 170.52 |
| 5 | 218.05 |
| 6 | 213.33 |

=====

PBE-GGA Mo2PBr, optimized geometry; N(E_F) = 4.51 states/eV per cell; E above lowest polymorph = 2.04 eV/f.u.; M_tot = 0.00 μB per formula unit; energy relative to the elements, uncorrected = 0.55 eV/atom; total energy = -6.63 eV/atom
1.0
-1.0450 4.4698 2.0648
-5.0270 0.0795 0.2395
3.9467 -2.5539 1.7989
Br Mo P
1 2 1
direct
0.2500 0.7500 0.5000 Br
0.9482 0.9482 0.0000 Mo
0.5518 0.5518 0.0000 Mo
0.7500 0.2500 0.5000 P

=====

No. 1
Ag2AsSe4 | Alexandria via LeMat-Bulk | GGA-PBE | optimized geometry; energy relative to the elements, uncorrected = 0.08 eV/atom; E_tot = -3.393 eV per atom
1.0
6.835 0.000 0.000
0.000 6.835 0.000
0.000 0.000 4.718
Ag As Se
2 1 4
Cartesian
0.000 3.417 0.000
3.417 0.000 0.000
0.000 0.000 0.000
1.458 1.458 1.147
1.458 5.377 3.571
5.377 1.458 3.571
5.377 5.377 1.147

No. 2
AgAsSe | Alexandria via LeMat-Bulk | GGA-PBE | optimized geometry; energy relative to the elements, uncorrected = 0.27 eV/atom; E_tot = -3.387 eV per atom
1.0
0.000 1.996 8.306
1.974 0.000 8.306
1.974 1.996 0.000
Ag As Se
1 1 1
Cartesian
0.000 0.000 0.000
1.974 1.996 10.501
1.974 1.996 5.833

=====

[1]
Entry from OQMD: a geometry-optimized ScTcBi2 structure (PBE-GGA).

```
data_ScTcBi2
_chemical_formula_sum 'Sc1 Tc1 Bi2'
_cell_length_a 5.018
_cell_length_b 5.018
_cell_length_c 5.018
_cell_angle_alpha 60.00